Why you should limit your dependencies when sharing files: the example of plotly

Data Science & Design
2 min readNov 13, 2016

Laurae: This post is about why dependencies must be limited as much as possible when you share files. It does not mean you must not use them, but you must check whether the users you are sending the files to can open and read properly those files. It also highlights the black line between “altruist” and “commercial” companies. The post was originally at Kaggle.

-- Someone pasted molecular data at this point --
~~~
# 1
34
Properties=species:S:1:pos:R:3 method="wB97M-V/def2-TZVPD" charge=+1 e_lumo_ev="-3.80 / -3.80" homo_energy_ev="-12.63 / -12.63" orbital_gap_ha="0.325 / 0.325" de_lowest_kj_mol=35.1
C -3.73 0.47 -0.88
C -4.10 -1.05 0.54
C 1.59 0.38 1.81
C 1.82 1.37 -1.47
C 0.53 -2.97 -0.45
C -2.36 2.01 0.73
C 0.22 -0.30 1.51
C 0.30 1.28 -1.11
C 0.95 -1.64 -1.06
C -3.00 0.80 0.24
O -1.56 -0.78 -0.60
O -4.43 -0.68 -0.67
O -3.39 -0.18 1.18
P -0.16 -0.32 -0.27
H -4.07 1.07 -1.71
H -4.50 -1.87 1.05
H 1.56 1.40 1.99
H 1.97 -0.24 2.69
H 2.43 0.16 1.01
H 2.24 2.42 -1.63
H 2.63 0.77 -0.82
H 1.86 0.84 -2.42
H 0.37 -2.81 0.62
H -0.52 -3.22 -0.90
H 1.17 -3.77 -0.60
H -2.99 2.74 1.06
H -1.80 2.37 -0.09
H -1.73 1.78 1.49
H -0.65 0.18 2.02
H 0.17 -1.43 1.93
H -0.35 1.33 -1.95
H 0.13 2.17 -0.56
H 0.99 -1.74 -2.13
H 1.99 -1.58 -0.75

---

# 2
34
Properties=species:S:1:pos:R:3 method="wB97M-V/def2-TZVPD" e_lumo_ev=0.81 homo_energy_ev=-9.23 orbital_gap_ha=0.369 de_lowest_kj_mol=285.0 smiles=C#C[SiH2]O.C1CCOC1.C1CCOC1
C 2.47 -0.43 0.01
C 1.35 0.00 0.05
Si -0.39 0.59 0.12
O -1.43 -0.67 0.50
H 3.51 -0.47 -0.05
H -0.81 1.14 -1.17
H -0.56 1.63 1.15
H -2.17 -0.58 -0.11
C -2.28 0.44 -5.59
C -3.45 -0.27 -4.92
C -2.94 -0.42 -3.50
O -2.09 0.71 -3.25
C -1.81 1.38 -4.49
H -2.56 0.97 -6.50
H -1.49 -0.27 -5.84
H -4.34 0.36 -4.94
H -3.70 -1.23 -5.38
H -2.35 -1.33 -3.37
H -3.74 -0.43 -2.76
H -2.37 2.32 -4.50
H -0.75 1.60 -4.54
C 2.94 -0.57 5.48
C 2.30 -1.44 4.40
C 1.44 -0.43 3.66
O 2.12 0.83 3.77
C 3.16 0.74 4.73
H 3.86 -0.98 5.89
H 2.24 -0.42 6.30
H 3.07 -1.83 3.74
H 1.73 -2.28 4.79
H 0.46 -0.33 4.13
H 1.31 -0.68 2.61
H 4.12 0.74 4.20
H 3.13 1.61 5.38

---

# 3
41
Properties=species:S:1:pos:R:3 method="wB97M-V/def2-TZVPD" charge=+2 e_lumo_ev="-9.47 / -9.47" homo_energy_ev="-14.07 / -14.06" orbital_gap_ha="0.169 / 0.169"
Au -0.30 0.64 0.12
N -0.29 0.85 -2.29
C -1.70 0.86 -2.74
C -2.51 -0.23 -2.04
N -2.58 0.03 -0.59
H 0.21 1.67 -2.61
H 0.20 0.04 -2.63
H -1.77 0.71 -3.82
H -2.13 1.84 -2.51
H -2.02 -1.19 -2.19
H -3.50 -0.28 -2.50
H -2.99 -0.75 -0.09
H -3.17 0.84 -0.40
C 1.06 5.43 -0.70
S 0.59 6.03 0.95
C 0.64 4.68 1.99
C 0.16 3.32 1.81
S -0.86 2.85 0.55
S 0.42 2.28 3.15
C 0.98 3.46 4.28
S 1.38 3.15 5.79
S 1.17 5.04 3.55
H 0.62 6.15 -1.40
H 0.66 4.44 -0.90
H 2.14 5.45 -0.77
C 2.42 -4.68 -0.84
C 2.15 -3.45 0.04
S 0.68 -2.60 -0.52
O 0.81 -1.19 0.11
C -0.59 -3.49 0.41
C -0.58 -3.24 1.91
H 3.26 -5.23 -0.43
H 2.67 -4.39 -1.86
H 1.57 -5.36 -0.87
H 2.93 -2.70 -0.04
H 2.02 -3.71 1.09
H -0.43 -4.54 0.15
H -1.52 -3.17 -0.06
H 0.26 -3.71 2.41
H -1.49 -3.66 2.34
H -0.56 -2.18 2.14

---

# 4
39
Properties=species:S:1:pos:R:3 method="wB97M-V/def2-TZVPD" charge=+1 e_lumo_ev=-4.71 homo_energy_ev=-10.62 orbital_gap_ha=0.217
C -2.39 -6.54 1.47
C -1.71 -5.33 0.87
C -2.51 -3.94 0.55
C -1.51 -2.61 0.39
C -1.28 -1.80 1.80
C -0.44 -2.62 2.95
F 1.03 -2.35 2.75
O -2.27 -1.68 -0.50
C -1.34 -0.81 -1.24
O -0.52 -1.25 -2.20
B -1.29 0.84 -0.95
N -1.44 1.45 0.44
O -1.13 1.80 -2.08
H -1.80 -7.54 1.69
H -3.56 -6.57 1.70
~~~
-- The molecular data stop here --

BenjaminLott wrote:

# These molecular data were left in the page by mistake
********
The molecule C9H16ClI. Source: OMol25; level of theory: ωB97M-V with the def2-TZVPD basis set.

```
27
Properties=species:S:1:pos:R:3:nbo_charge:R:1
C -3.26607 -0.65768 -0.48751 -0.131
C -2.85195 0.42072 0.16694 -0.160
C -4.52233 -1.28761 -0.19680 -0.659
C -2.26895 -1.32767 -1.39896 -0.623
C 1.70114 -0.43464 0.89670 -0.607
C 3.40667 0.84123 -0.44912 -0.629
C 1.33111 2.79164 0.73162 -0.767
C 1.87975 0.46153 -0.34406 -0.324
C 1.13837 1.79415 -0.34052 0.030
Cl -3.64902 1.04212 1.57881 -0.005
I -0.98929 1.40260 -0.65266 0.328
H -5.23819 -0.57620 0.23541 0.234
H -4.66577 -2.10390 0.54974 0.238
H -5.05838 -1.71960 -1.14217 0.219
H -2.63646 -2.31369 -1.48266 0.214
H -2.25740 -0.83207 -2.50933 0.221
H -1.28530 -1.35801 -0.98303 0.222
H 2.15954 -1.46865 0.54353 0.214
H 2.22275 -0.01293 1.70661 0.201
H 0.62345 -0.47693 0.97842 0.215
H 3.92989 -0.11983 -0.68193 0.208
H 3.31620 1.43273 -1.34560 0.225
H 3.73616 1.16830 0.58068 0.216
H 0.47686 3.50023 0.94973 0.241
H 1.54735 2.29099 1.74402 0.234
H 2.24364 3.43150 0.28925 0.232
H 1.52421 -0.19061 -1.19972 0.215
```

Computed properties:
- Net charge: 0
- Multiplicity: 3
- HOMO (alpha / beta): -6.5475 / -8.6627 eV
- Gap between HOMO and LUMO (alpha / beta): 7.233 / 7.303 eV
- E_tot: -1110.15576 Eh
- F_max: 4.7 eV Å⁻¹
- <S²>: 2.0264

---

A cluster of 2 separate species, C9H16F3N4O2P in total. Source: OMol25; level of theory: ωB97M-V with the def2-TZVPD basis set.

```
35
Properties=species:S:1:pos:R:3:nbo_charge:R:1
C 1.35770 2.44201 2.94380 -0.178
C -0.06407 2.34778 2.86525 -0.132
C -1.65637 2.14011 2.51297 -0.101
C -2.07637 2.67411 0.98541 -0.262
N -3.11151 1.68757 0.40502 -0.637
C -3.46005 0.82959 1.63736 0.741
N -4.66265 0.23594 1.92847 -0.917
N -2.27316 0.75964 2.57461 -0.741
P -1.18782 -0.65516 2.45608 1.415
N -0.75810 -1.05159 0.94596 -1.214
H 2.51955 2.69080 2.84200 0.320
H -2.28270 2.71306 3.35212 0.247
H -1.03138 2.58506 0.42719 0.251
H -2.51330 3.78436 1.01934 0.246
H -2.55227 1.22270 -0.33864 0.426
H -5.42041 0.86411 2.32784 0.443
H -4.89900 -0.77707 1.84537 0.452
H -0.02344 -0.40401 3.29966 0.007
H -1.88391 -1.77929 3.02481 -0.038
H -1.21456 -0.36069 0.32298 0.353
C 0.84327 -1.56239 -1.85972 -0.643
C 2.04982 -0.99788 -1.13730 -0.069
O 3.27012 -1.64338 -1.48023 -0.566
C 3.93917 -1.28062 -2.72186 0.291
O 4.09875 0.03614 -2.80404 -0.703
C 3.28186 -1.92343 -4.00748 0.927
F 2.83591 -3.18697 -3.74773 -0.347
F 4.18847 -2.06124 -5.01672 -0.339
F 2.22979 -1.24166 -4.52145 -0.337
H 0.89700 -2.65335 -1.93404 0.216
H -0.07714 -1.28687 -1.33842 0.186
H 0.76493 -1.15918 -2.87105 0.214
H 1.91066 -1.19703 -0.06831 0.169
H 2.10609 0.09072 -1.23478 0.176
H 4.85513 -1.88190 -2.63450 0.145
```

Computed properties:
- Net charge: 0
- HOMO: -6.1264 eV
- Gap between HOMO and LUMO: 1.678 eV
- E_tot: -1362.48396 Eh
- F_max: 10.2 eV Å⁻¹

~~~~~

[1]
Density functional theory data (wB97M-V/def2-TZVPD) for a structure of composition C37H31BiBrN10.

Each line ends with the Löwdin charge.
Positions of all 80 atoms, in Å:
********

Is there a reason why ggplotly isn’t used more often?

### What comes next are data records, not part of the text
'''
Entry 1:
# C35H29I2N6O2PbS2Se2

A molecular structure, C35H29I2N6O2PbS2Se2 (the ωB97M-V functional and the def2-TZVPD basis, the OMol25 dataset).

Output
Energy relative to the best compared isomer or geometry (same formula, charge and spin)   0.00 kcal per mole
Orbital gap   5.8611 eV
Strongest force on any atom   0.0088 hartree/bohr

The geometry in ORCA input format:
```
! wB97M-V def2-TZVPD RIJCOSX def2/J DEFGRID3
* xyz 1 1
Pb -0.19 0.66 0.66
C -3.96 1.04 1.18
O -2.98 0.51 0.30
C -3.43 -0.08 -0.85
C -4.75 0.02 -1.27
C -5.16 -0.61 -2.44
C -4.25 -1.34 -3.18
C -2.93 -1.42 -2.77
C -2.49 -0.79 -1.61
N -1.12 -0.86 -1.15
N -0.42 -1.56 -1.93
C 0.90 -1.86 -1.76
C 1.65 -1.68 -0.57
O 1.24 -1.12 0.51
C 3.00 -2.21 -0.53
C 3.57 -2.76 -1.62
C 2.87 -2.90 -2.86
C 3.51 -3.43 -3.99
C 2.83 -3.57 -5.17
C 1.48 -3.21 -5.24
C 0.85 -2.67 -4.14
C 1.53 -2.49 -2.92
H -4.73 0.30 1.40
H -4.43 1.94 0.77
H -3.44 1.31 2.10
H -5.46 0.60 -0.70
H -6.19 -0.52 -2.75
H -4.56 -1.84 -4.09
H -2.21 -1.98 -3.35
H 3.53 -2.08 0.40
H 4.60 -3.10 -1.57
H 4.55 -3.72 -3.92
H 3.33 -3.97 -6.05
H 0.93 -3.36 -6.16
H -0.19 -2.37 -4.21
C -0.65 4.59 2.15
C -0.94 3.54 3.17
N -1.00 2.26 2.93
C -1.35 1.54 4.04
C -1.55 2.28 5.16
S -1.30 3.93 4.81
C -1.50 0.08 3.93
C -1.91 -0.75 4.92
S -2.01 -2.35 4.34
C -1.49 -1.84 2.79
N -1.25 -0.55 2.72
C -1.32 -2.82 1.68
H -0.31 4.12 1.23
H 0.11 5.29 2.51
H -1.55 5.17 1.93
H -1.86 1.96 6.15
H -2.17 -0.50 5.93
H -1.62 -3.82 1.98
H -0.28 -2.84 1.36
H -1.92 -2.52 0.82
Se 3.89 1.56 -0.11
Se 2.61 3.02 1.15
C 2.42 1.90 2.72
C 3.08 2.28 3.89
C 3.06 1.40 4.96
C 2.43 0.18 4.82
C 1.77 -0.10 3.63
N 1.74 0.76 2.61
C 2.81 1.35 -1.69
C 3.49 1.02 -2.86
C 2.77 0.92 -4.04
C 1.40 1.16 -4.01
C 0.82 1.45 -2.79
N 1.50 1.53 -1.65
H 3.60 3.22 3.94
H 3.58 1.65 5.88
H 2.43 -0.55 5.62
H 1.26 -1.04 3.47
H 4.56 0.86 -2.84
H 3.27 0.68 -4.96
H 0.81 1.12 -4.91
H -0.26 1.60 -2.72
I -2.72 3.69 -1.42
I -1.97 4.69 -3.76
*
```

***

Entry 2:
# C4H38N2O14

15 unconnected molecules or ions with the total composition C4H38N2O14 (the ωB97M-V functional and the def2-TZVPD basis, the OMol25 dataset).

Output
Energy relative to the best compared isomer or geometry (same formula, charge and spin)   0.00 kcal per mole
Orbital gap   8.4863 eV
Strongest force on any atom   0.0305 hartree/bohr

The geometry in ORCA input format:
```
! wB97M-V def2-TZVPD RIJCOSX def2/J DEFGRID3
* xyz 0 1
C 1.15 -0.27 1.14
C -0.24 -0.15 0.51
C -0.37 1.01 -0.45
C 0.06 0.97 -1.70
N 0.05 2.10 -2.55
N 1.47 0.93 1.92
H 1.89 -0.36 0.35
H 1.20 -1.18 1.73
H -0.41 -1.09 -0.01
H -0.98 -0.08 1.28
H -0.83 1.91 -0.04
H 0.51 0.10 -2.13
H -0.70 2.74 -2.34
H 0.07 1.92 -3.54
H 0.79 0.98 2.67
H 2.35 0.82 2.40
H -3.18 0.39 0.32
H -4.22 1.55 0.50
O -3.28 1.38 0.36
H -2.43 1.99 1.85
H -1.20 2.79 2.35
O -1.95 2.24 2.66
H 4.46 -1.89 0.16
H 4.80 -0.37 0.12
O 5.10 -1.25 -0.16
H 2.64 -2.21 -0.91
H 3.03 -3.67 -0.58
O 2.70 -2.87 -0.17
H 0.43 -2.12 -2.33
H -1.08 -1.84 -2.35
O -0.42 -2.52 -2.10
H -1.23 0.95 3.55
H -0.96 -0.57 3.39
O -0.65 0.22 3.87
'''

Personal opinion:

  • Slow when you have many of them (especially when you have millions of points)
  • Adds a “massive” amount of file size to outputs (what could be done for instance using only 0.1MB using ggplot2 could take 10MB or more in ggplotly sometimes)
  • For the online version: need to pay for “appropriate” plotting (not counting you have Internet dependency from that point), but if you share code you have to strip your keys each time which is a hassle (imagine if you have a script generating scripts and you must strip all of them 1 by 1)
  • Not always usable with other gg -types package plugins (stuff can be broken)
  • Browser reliant (I’ve seen ggplotly broken in many different browsers, let alone outdated business workstations still on Windows XP): it’s better to have a static plot which works anywhere than an interactive plot silently breaking on specific workstation setups
  • Function call: if you use knitr with custom width/height, you again have to specify width/height, when you didn’t have to (imagine when you have many different width/height to handles)
  • Custom CSS: when you have a custom CSS for sizing (in knitr options, not in plotly), plotly offline plots can appear distorted for some (unexplained) reason
  • Interactivity is good, but usually you only need that for very specific points you could do it by yourself by adding labels (can be good for exploratory data analysis when you aggregated things though)

BenjaminLott wrote:

Do people not know about it or do they not like the interactivity?

Still personal opinion: I think the former, but there is another reason (which I confirmed during this year with my students). For instance in my case, although I knew the plotly website for a while, I only found it usable offlinerecently by using a R (and Python) package (plotly documentation seems to force the user to use the online version — hence the reason I/we avoided it). Here is an example where someone gets lost because he/she did not know it was usable offline.

A third reason: when (self-contained) plotly HTML files are hosted on a remote server, sometimes it silently breaks plots (when locally it works perfectly). Simple reason: hidden dependencies.

